What to do
Work out how many lines below have the word "this" in them; a number is enough.
Material
/*
The following is a quantum chemistry calculation of C34H53BrF6INO17S as an isolated structure in a non-equilibrium geometry, from the OMol25 dataset.

Results
- Frontier orbital gap: 0.342 Ha
- ΔE to the lowest compared entry with this formula, charge and spin: 0.0 kcal/mol

```
! wB97M-V def2-TZVPD RIJCOSX def2/J DEFGRID3
* xyz 0 1
C 4.98735 -4.41431 6.85576
C 4.29441 -4.59366 5.51633
O 4.45453 -3.43307 4.71614
C 3.38052 -3.26624 3.82680
C 3.82016 -2.44759 2.61681
Br 4.93072 -3.68068 1.53146
O 2.91034 -1.94710 1.75526
C 1.61332 -1.43405 2.05252
C 0.61682 -2.57072 2.48375
C 0.80727 -3.96792 1.98776
O 1.74257 -4.53311 1.49785
F -0.34782 -4.66975 2.18131
C 1.55825 -0.46801 3.27127
C 1.75589 1.04434 3.17157
C 3.12308 1.60062 2.84609
O 1.45847 1.57090 4.48928
C 0.99549 -0.80311 0.75097
C 1.83971 0.25386 0.01842
C 3.27232 -0.05757 -0.45937
C 3.36089 -0.15897 -1.99760
N 4.63999 -0.68911 -2.45946
C 0.50503 -1.84549 -0.27949
C 1.46249 -2.81584 -0.91613
O 2.64163 -2.96545 -0.79680
I 0.41475 -4.16845 -2.31110
O -0.19388 -0.19991 1.27108
C -1.01248 0.58211 0.42222
C -2.48100 0.16460 0.67785
C -3.03959 -0.86786 -0.31772
C -3.81731 -2.04348 0.29271
C -4.64194 -1.66386 1.51059
C -2.93090 -3.25787 0.56563
C -0.89947 2.08744 0.70979
C -1.43884 2.93767 -0.44664
C -2.13449 4.21408 0.00880
F -2.25834 2.22125 -1.32010
S 5.18484 -1.20922 3.11877
O 5.27356 -0.25062 2.06437
O 6.40381 -1.86704 3.44684
F 4.64133 -0.57530 4.44046
H 6.01906 -4.74476 6.82864
H 4.48309 -5.04918 7.58147
H 4.89798 -3.38481 7.18570
H 3.24312 -4.83186 5.68999
H 4.74175 -5.43806 4.98794
H 2.54291 -2.83856 4.38549
H 3.06614 -4.24983 3.48428
H -0.40829 -2.29320 2.26464
H 0.64535 -2.64978 3.56982
H 2.20287 -0.81165 4.07832
H 0.55342 -0.57659 3.67390
H 1.03917 1.53382 2.52365
H 2.99467 2.67183 2.69072
H 3.83586 1.50054 3.65366
H 3.48770 1.20672 1.90628
H 0.55456 1.31860 4.69060
H 1.83910 1.19538 0.55260
H 1.29941 0.48851 -0.90125
H 3.75557 -0.93626 -0.05860
H 3.90559 0.79042 -0.20166
H 2.56276 -0.79702 -2.36984
H 3.26120 0.84572 -2.40748
H 5.38700 -0.24038 -1.94414
H 4.68998 -1.67473 -2.23092
H 0.08645 -1.31226 -1.13248
H -0.33778 -2.42235 0.09474
H -0.86385 0.47984 -0.65206
H -3.09679 1.05659 0.66272
H -2.49794 -0.18854 1.70819
H -3.74032 -0.33321 -0.95694
H -2.25154 -1.21115 -0.98548
H -4.52861 -2.36721 -0.46916
H -5.14067 -0.70261 1.39366
H -5.41736 -2.39578 1.72178
H -4.02626 -1.58704 2.40668
H -3.51439 -4.16001 0.72525
H -2.27821 -3.40011 -0.29330
H -2.32055 -3.10451 1.45674
H -1.44838 2.31414 1.62176
H 0.14422 2.36659 0.82172
H -0.58165 3.26334 -1.03664
H -2.54505 4.13244 1.00898
H -2.89121 4.46273 -0.72405
H -1.42089 5.03086 -0.03254
C -1.74634 7.05502 -3.72861
C -2.54867 8.33540 -3.71919
O -3.58374 8.04034 -2.80361
C -3.09680 7.11879 -1.92002
O -3.60069 6.84310 -0.88880
O -1.94800 6.57270 -2.39640
F -3.09295 8.60372 -4.93572
H -2.14757 6.33452 -4.44269
H -0.69006 7.21116 -3.93000
H -1.99910 9.21263 -3.37460
C -5.50028 9.12372 -7.18194
C -5.22404 8.62212 -8.57945
O -6.44583 8.88107 -9.24257
C -7.02656 9.95257 -8.62244
O -7.91556 10.58774 -9.06796
O -6.42786 10.18520 -7.42638
F -4.97689 7.28799 -8.60109
H -5.97399 8.35858 -6.56542
H -4.61224 9.49079 -6.67669
H -4.41517 9.14139 -9.09648
C 1.39828 -8.88241 -1.23301
C 0.32313 -7.90637 -1.64687
O -0.83989 -8.71448 -1.64276
C -0.64051 -9.70811 -0.72758
O -1.49052 -10.40018 -0.28829
O 0.67167 -9.78126 -0.38897
F 0.52902 -7.42367 -2.89818
H 1.79738 -9.42742 -2.08962
H 2.21556 -8.41432 -0.69090
H 0.18554 -7.06845 -0.96116
*
```

Mulliken population analysis, charges in e, atoms 1 to 6:
1. C -1.264
2. C -0.306
3. O -0.272
4. C -1.445
5. C -0.057
6. Br -0.076

The following is a quantum chemistry calculation of C34H53BrN2P2Zn as an isolated structure in a non-equilibrium geometry, from the OMol25 dataset.

Results
- Frontier orbital gap: 0.196 Ha
- ΔE to the lowest compared entry with this formula, charge and spin: 15.4 kcal/mol

```
! wB97M-V def2-TZVPD RIJCOSX def2/J DEFGRID3
* xyz 2 1
N -6.24206 4.31156 -4.75957
*/
Result
2